== Brief ==
Next, duplicate only the lines underneath with the word "dataset" in them.

== Input ==
'''
[1]
A plane-wave DFT calculation with GGA-PBE was carried out for a geometry-optimized SeN structure.

Cell lengths 10.2807, 10.3086, 6.7973 Å; angles 90.00, 103.93, 90.00 degrees
Space group C2/c (No. 15)
Symmetry-distinct sites (fractional):
Se: 0.0624 0.2004 0.0715 [8 per cell]
Se: 0.1294 0.3948 0.4115 [8 per cell]
N: 0.0000 0.1034 0.2500 [4 per cell]
N: 0.0000 0.4921 0.2500 [4 per cell]
N: 0.1911 0.2991 0.2300 [8 per cell]

* formation enthalpy at 0 K: 0.6348 eV/atom
* volume: 699.2 Å³/cell

---

[2]
A plane-wave DFT calculation with GGA-PBE was carried out for a geometry-optimized Sr7SeN6 structure.

Cell lengths 12.7148, 6.8555, 13.5072 Å; angles 90.00, 90.00, 90.00 degrees
Space group Pbcn (No. 60)
Symmetry-distinct sites (fractional):
Sr: 0.0000 0.0658 0.2500 [4 per cell]
Sr: 0.0598 0.2103 0.5008 [8 per cell]
Sr: 0.1954 0.3450 0.8860 [8 per cell]
Sr: 0.2187 0.3838 0.1538 [8 per cell]
Se: 0.0000 0.4379 0.7500 [4 per cell]
N: 0.1012 0.2826 0.6971 [8 per cell]
N: 0.1353 0.1354 0.0357 [8 per cell]
N: 0.1394 0.2964 0.3308 [8 per cell]

* formation enthalpy at 0 K: -0.5094 eV/atom
* volume: 1177.4 Å³/cell

---

[3]
A plane-wave DFT calculation with GGA-PBE was carried out for a geometry-optimized TaSeN structure.

Cell lengths 13.6098, 3.9733, 9.3225 Å; angles 90.00, 112.14, 90.00 degrees
Space group C2/m (No. 12)
Symmetry-distinct sites (fractional):
Ta: 0.1045 0.0000 0.1134 [4 per cell]
Ta: 0.1818 0.0000 0.8575 [4 per cell]
Se: 0.0956 0.0000 0.5559 [4 per cell]
Se: 0.1644 0.5000 0.2901 [4 per cell]
N: 0.0422 0.0000 0.8761 [4 per cell]
N: 0.2353 0.5000 0.8864 [4 per cell]

* formation enthalpy at 0 K: -0.7862 eV/atom
* volume: 466.9 Å³/cell
* relative energy among the computed polymorphs: 30 meV per atom

---

[4]
A plane-wave DFT calculation with GGA-PBE was carried out for a geometry-optimized TaSeN structure.

Cell lengths 3.6476, 3.6476, 6.3799 Å; angles 90.00, 90.00, 90.00 degrees
Space group P4/nmm (No. 129, origin choice 2)
Symmetry-distinct sites (fractional):
Ta: 0.2500 0.2500 0.1729 [2 per cell]
Se: 0.2500 0.2500 0.6200 [2 per cell]
N: 0.2500 0.7500 0.0000 [2 per cell]

* formation enthalpy at 0 K: -0.8161 eV/atom
* volume: 84.9 Å³/cell
* relative energy among the computed polymorphs: 0 meV per atom

---

[5]
A plane-wave DFT calculation with GGA-PBE was carried out for a geometry-optimized Tb4Se3N2 structure.

Cell lengths 13.4013, 3.9529, 10.3706 Å; angles 90.00, 129.75, 90.00 degrees
Space group C2/m (No. 12)
Symmetry-distinct sites (fractional):
Tb: 0.0577 0.0000 0.3490 [4 per cell]
Tb: 0.2441 0.5000 0.8606 [4 per cell]
Se: 0.0000 0.5000 0.5000 [2 per cell]
Se: 0.1652 0.5000 0.2719 [4 per cell]
N: 0.1488 0.0000 0.8622 [4 per cell]

* formation enthalpy at 0 K: -1.9020 eV/atom
* volume: 422.4 Å³/cell

---

[6]
A plane-wave DFT calculation with GGA-PBE was carried out for a geometry-optimized Th2SeN2 structure.

Cell lengths 4.0456, 4.0456, 7.1997 Å; angles 90.00, 90.00, 120.00 degrees
Space group P-3m1 (No. 164)
Symmetry-distinct sites (fractional):
Th: 0.3333 0.6667 0.2965 [2 per cell]
Se: 0.0000 0.0000 0.0000 [1 per cell]
N: 0.3333 0.6667 0.6262 [2 per cell]

* formation enthalpy at 0 K: -2.0784 eV/atom
* volume: 102.0 Å³/cell

---

Q: What is the volume in the third record?
A: 466.9 Å³/cell

---

Q: What is the formation enthalpy at 0 K in the fifth record?
A: -1.9020 eV/atom

=====

(1)
Ca3N2 | PBE | optimized geometry

a b c (Å): 3.8977 3.8977 13.2449
angles (deg): 90.00 90.00 120.00
Atoms (fractional coordinates):
Ca  0.0000  0.0000  0.2500
Ca  0.0000  0.0000  0.7500
Ca  0.3333  0.6667  0.0861
Ca  0.3333  0.6667  0.4139
Ca  0.6667  0.3333  0.5861
Ca  0.6667  0.3333  0.9139
N  0.0000  0.0000  0.0000
N  0.0000  0.0000  0.5000
N  0.3333  0.6667  0.7500
N  0.6667  0.3333  0.2500

Computed properties:
- Energy above the most stable polymorph in this dataset: 94 kJ/mol of formula units
- Space-group type: P6_3/mmc (194)
- Spin magnetization: 0.001 μB per formula unit
'''

== Reply ==
- Energy above the most stable polymorph in this dataset: 94 kJ/mol of formula units